Tag: microsoft

Posted in Behind The Woodshed Uncategorized WhoopAss

Behind The Woodshed Blogcaster – June 16, 2024

Infringement Has Remedy, Foreign Imposition, Form 4473, We’re All Abused, Unrealized Losses, Digital Fascisma, Technocrat Utopia, No Good Deed, Ultra Processing, Health Insecurities, Legal Criminals, Rlog, BTWRLM581, Democracy, Hypocrisy, Hunter, Verdict, ATF, Form 4473, National Instant Criminal Background Check, Presumption of Innocence, 2nd Amendment, Title 18, United States Code, The American Law Institute, Abused, Like, Donald Trump, Amazon, Execs, Personally, Liable, Prime, Sign-ups, Unrealized Losses, US, Banking System, FDIC, Brink, Insolvency, Speed, Cameras, Atlanta, Fraud, Extortion, Thousands, Californians, Lose, Jobs, Thanks, Newsom, PR Disaster, Microsoft, Total Recall, Hacker, Tool, Extracts, Data, Recall AI, Yellen, significant risks, AI, Finance, Hackers, Steal, $305M, DMM, Bitcoin, Crypto, Exchange, 3B, Personal Records, Stolen, Background, Check, Firm, Law, Student, Unfairly Disciplined, Breach, Blunder, Deny, Denounce, Delay,Ultra-processed, Foods, Battle, Google’s AI, Stupid, Feeds, Onion, Samsung, Independent, Repair, Shops, Share, Customer Data, Snitch, Disassemble, Private Phones, Britain, Tainted, Blood, Scandal, Killed, Thousands, HIV, Hepatitis, Circuit Court of Appeals, COVID-19, mRNA, Jab, NOT a Vaccine, Atlanta, Prosecutor, Jailed, Stealing, $15m, Covid, Funds, Australian, DNA, CONTAMINATION, Confirmed, Pfizer, Moderna, NOT safe, Humans

Next to the page, the page also holds quantum chemistry results:
'''
[1]
18
Properties=species:S:1:pos:R:3:lowdin_charge:R:1 method="wB97M-V/def2-TZVPD" de_lowest_kj_mol=251.8 smiles="CCNC=O.O.O" e_tot_ha=-401.317158 homo_energy_ev=-9.37 total_charge=0
O 1.7206 0.5682 -2.4442 0.01
O -1.5274 -1.6006 -1.0969 -0.01
O -0.8134 1.8462 -1.8032 -0.11
N 0.1587 -0.6516 -0.1247 -0.01
C 0.8570 -0.3849 1.1901 -0.18
C -0.3404 -0.3057 2.2283 -0.10
C -0.9197 -1.5070 -0.0316 -0.35
H -1.1839 0.4001 1.8163 0.11
H -0.0833 0.2176 3.1208 0.05
H 1.6191 -0.9322 1.5605 0.06
H 0.5457 -0.1695 -1.0210 0.13
H -0.8492 -1.2280 2.4225 0.04
H 1.4906 0.0962 -3.2254 0.05
H 0.9876 1.0397 -2.2947 -0.08
H -0.9612 -2.1629 0.8271 0.12
H -0.7743 2.7495 -1.2927 0.11
H 1.2165 0.6388 1.1444 0.10
H -1.1428 1.3860 -0.9755 0.05

=====

[2]
175
Properties=species:S:1:pos:R:3:lowdin_charge:R:1 method="wB97M-V/def2-TZVPD" e_tot_ha=-21252.849731 homo_energy_ev=-9.02 total_charge=0
Br -2.9096 -1.2337 3.2462 0.46
Cl 2.4712 -2.6188 -8.8853 0.49
Cl 3.4705 8.1905 -1.2302 0.55
Cl -0.4395 8.0712 0.8969 0.52
Cl -10.2464 -1.0110 1.8884 0.51
Cl 7.2508 -5.3548 -1.4762 0.56
Cl -3.2602 5.9676 -4.2440 0.56
Cl -4.8908 5.4758 4.3077 0.60
Cl -5.3783 -3.6781 0.8673 0.60
Cl -3.7843 -6.4909 -3.4576 0.53
Cl 3.3282 0.9196 -10.6712 0.50
Cl -6.3845 -3.6313 -1.8702 0.54
Cl 9.5742 -2.8829 1.5936 0.50
Cl 7.1901 -5.2108 -4.3883 0.50
Cl -5.8743 -7.5843 3.7684 0.52
Cl 13.9746 -0.1688 5.5724 0.50
Cl 13.1850 -2.4930 1.2092 0.49
Cl 15.8673 -1.5724 7.2908 0.49
Cl 2.1663 -5.5172 -8.9887 0.55
Cl 0.6639 -4.2797 3.5299 0.55
Cl 2.1144 2.3061 5.3998 0.44
Cl -3.6167 7.5630 2.7212 0.53
Cl -2.2372 12.4021 1.2564 0.50
Cl -2.7791 -6.5315 -0.7212 0.58
Cl -4.8617 11.2100 1.7007 0.49
Cl 1.6748 0.2069 -8.3771 0.47
Cl -1.8852 -5.6586 3.2021 0.56
Cl -5.9501 -7.4460 0.8564 0.56
Cl 1.3648 -6.1443 -4.4063 0.52
Cl 10.4052 -5.6708 1.3774 0.52
Cl 15.0791 -3.8960 2.9263 0.52
Cl 0.2386 -3.7035 -5.5373 0.50
Cl 2.0432 6.4709 -3.1048 0.52
Cl -1.2923 7.6521 -2.8938 0.55
Cl -8.9120 1.0628 0.3315 0.56
Cl 1.4584 5.8814 1.2225 0.55
Si -0.2688 0.6010 1.8093 0.51
Si -2.3312 -1.2774 0.9949 0.19
O 4.6250 -2.6623 0.7305 -0.26
O -0.6620 -0.7242 0.7364 -0.37
O -5.7663 1.1082 3.7405 -0.26
O -3.4339 -0.1745 0.2099 -0.29
C 8.1827 -5.5501 -2.9657 -1.01
C -2.7662 7.6230 -3.8711 -0.97
C 1.0331 2.9793 -1.3176 -0.21
C 2.1263 -3.7688 -0.4478 -0.19
C 0.9754 -4.0702 -1.5539 -0.22
C -5.8140 -4.6510 -0.5431 -1.04
C 0.7412 1.1818 5.9408 -0.55
C -1.5190 5.0864 -1.2082 -0.27
C 14.6274 -1.7429 6.0423 -1.04
C 3.7390 -1.6668 0.1019 -0.20
C 1.3213 1.5667 -0.5386 -0.24
C -4.8372 0.3083 -1.9274 -0.21
C -4.9487 -7.7773 2.2753 -1.01
C -0.2681 0.9022 4.6723 -0.32
C -2.4818 -3.1136 0.4616 -0.34
C 0.4365 -0.0269 3.5186 -0.30
C -1.1251 4.1853 -2.5009 -0.24
C -6.0246 1.1618 -1.2166 -0.15
C -1.8518 4.2427 0.1399 -0.18
C -10.2068 0.7088 1.4818 -1.02
C -5.7605 2.1223 2.6871 -0.24
C 3.0680 -4.1230 -9.5962 -0.99
C -3.3902 3.6347 0.1729 -0.17
C -3.2134 -7.5078 -2.1295 -0.98
C 1.5759 -4.8579 -5.6005 -1.04
C -4.2448 2.7211 2.6088 -0.18
C -0.4857 -3.4599 -1.1958 -0.21
'''
End of the quantum chemistry results:

Continue Reading Behind The Woodshed Blogcaster – June 16, 2024
Posted in Behind The Woodshed Uncategorized WhoopAss

Behind The Woodshed Blogcaster – May 19, 2024

Global Identity Ecosystem, Fallible Unity, Off Limits, No Limits, Mind-reading Mind Control, The Endgame, Magic Eight Ball, Starve A Fever, YouTube Caught, Parents Fraught, Rlog, BTWRLM577, Cisco, Microsoft, IBM, Vatican, Pledge, AI Development, Senate, Bill, FAA, Digital ID, Mobile Licenses, Facial Recognition, Biden, Cybersecurity, Digital Identity Ecosystem, EU, 2024, ID, Big Tech, Regulations, Paris, Olympics, QR Code, Hubble, Network, Bluetooth, Satellite, Android 15, Theft, Detection, Secret, App, Locker, Mind-reading, Technology, Transforms, Thoughts, Text, Mind Control, Meat Suit, De-Dollarization, Bombshell, BRICS+, Decentralized, Monetary, Ecosystem, Mikhail Mishustin, Prime Minister, Future, of, Tax, Administration, MMA, Star, Khabib, Accounts, Blocked, Jerome, Powell, Inflation, Higher, Than Anybody Expected, Covid, FLiRT, Variants, Russia, Class Action, Lawsuit, YouTube,Covid, Censorship, Canada, LGBTQ-inclusive, Reading, Required, Maryland, 4th U.S. Circuit Court of Appeals, Not Enough, Evidence

Continue Reading Behind The Woodshed Blogcaster – May 19, 2024
Posted in Behind The Woodshed Uncategorized WhoopAss

Behind The Woodshed Blogcaster – Dec 17, 2023

Wardens Rules, 1st Amendment Auditor, Gunpowder Rebellion, War Crimes Funding, Global Hypocrisy, Alien Elements, Debt Slavery, Modernizing Insecurity, Identifying Fakes, Organeural Brainware, Rlog, BTWRLM555, 1st Amendment, Auditor, NYPD, Global, Gunpowder, Shortage, NDAA 2024, Ukraine, Israel, Border Protection, US Invasion, Zionist, Friendly Fire, Hannibal Directive, U.S., Hypocrisy, China, Russia, Oldest, Mosque, Rubble, Breathing, Global Warming, Mysterious, Material, Asteroid, Bennu, Scientists Puzzled, Stockpiling, Gold, BRICS, Candidate, Default, Ethiopia, IMF, Loans, UK, Alternative, Visa, Mastercard, ECB, Crypto, Losses, West, 500-year Dominance, Americans, Food, Unemployment, EU, Sweeping, AI, Regulation, Microsoft, AI, News, Mess, Google AI, U.S., Moon, Photo, Fake, DeepMind, 700, New, Materials, Organoid, Living, Brain, Tissue, Powers, Cyber, Neural Network, Brainware, War ning

Quantum chemistry results, as found in the file:
┌──
Molecular formula: C22H64N8O10
Method: DFT, ωB97M-V/def2-TZVPD

Structure (XYZ):
```
104
Properties=species:S:1:pos:R:3:forces:R:3
C 7.162367 2.642102 32.395650 -3.3 -5.8 7.1
O 6.977446 2.043271 33.638683 1.1 2.0 -5.0
N 6.556903 2.150395 31.322890 -0.6 -0.6 -2.1
N 7.761529 3.731514 32.353888 3.7 6.1 0.4
H 6.087241 1.266447 31.405485 0.0 0.0 0.2
H 6.565595 2.572808 30.384240 0.4 -0.3 1.0
H 8.331188 4.178646 33.186755 -1.3 -1.5 -2.1
H 7.719174 4.291495 31.521142 0.5 -0.4 -0.2
C 8.671580 5.242478 35.077132 4.4 6.1 1.4
O 9.169786 6.484399 35.423594 -2.4 -6.4 -1.8
N 7.428533 4.928053 35.137593 -2.8 3.4 3.9
N 9.390441 4.305805 34.420958 6.2 -0.2 -2.4
H 6.851879 5.501735 35.787722 0.3 -0.4 -0.8
H 7.028371 4.102039 34.905384 -1.0 -3.6 -1.0
H 10.405919 4.584383 34.031242 -3.3 -0.3 1.7
H 9.359319 3.279783 34.381458 -1.0 0.6 0.9
C 5.936378 10.494981 31.075104 -0.7 -6.2 0.4
O 5.452559 9.178822 31.332021 2.7 7.1 -2.0
N 7.211087 10.782707 30.900390 1.1 -1.3 0.3
N 5.193056 11.527102 30.825304 -3.8 3.5 0.9
H 7.681156 9.919077 31.202168 1.4 1.1 0.1
H 7.528165 11.769423 31.028293 0.0 -1.9 0.0
H 4.289839 11.481731 31.347838 1.0 0.5 -1.2
H 5.662994 12.485936 30.709302 -1.4 -2.2 0.4
C 5.171059 7.057801 34.018270 -0.3 -2.8 6.9
O 4.745822 6.708118 35.288234 2.6 0.7 -5.2
N 4.547813 7.859477 33.325974 -5.7 4.8 -2.6
N 6.309422 6.766071 33.396130 4.2 -3.5 -0.2
H 3.730268 8.252324 33.754158 -0.2 0.0 -0.1
H 4.824429 8.345301 32.447261 0.2 -0.6 0.9
H 6.760115 6.027079 33.948473 0.2 0.6 -0.7
H 6.422155 6.512302 32.373955 -1.2 1.0 2.2
C 3.898451 3.862028 33.248118 -0.1 -0.7 2.4
C 3.687642 2.673931 32.412997 -3.2 -3.5 8.0
C 2.311539 2.079349 32.554807 -1.4 -1.5 2.6
O 3.748044 2.921319 31.201140 2.7 2.9 -10.0
H 4.837457 4.325913 33.082731 1.2 0.4 -0.3
H 3.916213 3.475517 34.289023 -0.1 0.8 -0.3
H 3.144046 4.599936 33.078259 -0.6 0.4 0.1
H 4.292890 1.833364 32.722628 1.2 -0.2 0.5
H 2.216036 1.044002 32.265472 0.3 -0.2 -1.0
H 1.516381 2.644881 32.180499 -0.8 1.1 -1.7
H 1.859953 1.964422 33.540233 1.0 0.2 0.8
H 4.607304 3.376825 31.157902 -0.3 -0.1 -1.3
C 9.702269 10.935115 33.325956 -2.4 1.1 -0.1
C 9.051127 9.619120 33.731955 2.7 4.3 6.1
C 8.144842 9.759688 34.941653 0.8 2.9 -0.3
O 8.365098 9.111929 32.823186 -4.9 -3.0 -8.1
H 9.108346 11.536707 32.571111 0.4 -0.7 1.0
H 10.566386 10.668564 32.856841 2.7 -0.3 -1.4
H 9.927904 11.567747 34.175188 0.1 0.1 0.2
H 9.822261 8.932428 33.895111 2.0 -0.9 1.5
H 7.843417 8.824515 35.242777 -0.8 -2.2 1.0
H 7.276628 10.401734 34.712759 0.1 -0.4 -0.4
H 8.644340 10.317274 35.709685 0.4 -0.2 0.9
H 7.711760 8.535148 33.201419 -0.8 -1.0 0.0
C 0.496328 5.106731 31.295096 0.2 0.8 -1.4
C 0.935414 6.540517 31.044175 0.6 -1.0 7.6
C 2.348903 6.796721 31.571717 -1.2 -0.4 0.5
O 0.775512 6.893144 29.839871 -1.4 0.8 -7.4
H 0.664921 4.865006 32.314924 0.2 -0.5 0.8
H 1.046467 4.500473 30.614231 0.7 -1.0 -0.2
H -0.533955 4.969497 31.015194 -0.6 0.1 0.1
H 0.256575 7.073753 31.731752 0.0 0.5 0.0
H 3.031614 6.099431 31.161384 0.9 -0.7 -0.6
└──

Continue Reading Behind The Woodshed Blogcaster – Dec 17, 2023
Posted in Behind The Woodshed Uncategorized WhoopAss

Behind The Woodshed Blogcaster – Jun 4, 2023

New Global Realignment, Buy-in Beware, Climate Czar Criminal, Worthless Offsets, Stakeholder Corruptism, Insanity or Self Hate, Controlling Controls, UNanonymity, Run No Hide, Surveillance Assistants, AI Operator Whacked, Rlog, BTWRLM527, Buyer Beware, SanDisk, Extreme SSD, World, Precipice, John Kerry, Declares War, US Farmers, treason, Trust Breach, Climate Czar, Criminal, Climate Conman, WEF, Klaus Schwab, Chris Whitty, Finnish, Nuclear Plant, Prices Plunge, Jail white men, Jane Fonda, El Nino, Club Of Rome, Climate Hysteria, Global Governance, Secret, Bilderberg, 1954, Knights of Columbus, Under God, Pledge of Allegiance, Holy See, Behavioral Codes, Disinformation Experts, CBDC Rollouts, Samsung, Bank Of England, Fintech, Anonymity, Public Policy Problem, EARN Act, RESTRICT Act, Meta, Billion Dollar, EU fine, IRS, Secretly, Your Bank Records, Fair Share, Equal Rights, Extortion, Microsoft, Visa, CBDC Plot, Bluetooth, Android, tracking network, Neuralink, FDA, Human Trials, needless deaths, Animals, ChatGPT, Escape, Lawyer, legal sanctions, AI, ‘Killed’, Human Operator, Sound-bite stumping, Kennedy

Continue Reading Behind The Woodshed Blogcaster – Jun 4, 2023
Posted in Behind The Woodshed Uncategorized WhoopAss

Behind The Woodshed Blogcaster – Aug. 23, 2020.


BTWRLM384You Save Yourself, Noisome Newsom, CDC Maskuerade, Checking Mandatory Prerogative, Stopping Sustainable Fraud, State Law Due Process, NZ Stay-At-Home Unlawful, Masks “Very Dangerous”, Your E-Gov Vulnerabilities, Community-Related Exposure, Virginians, Mandatory C0VID Vaccination, Involuntary Medical Quarantines, Massachusetts Students, T Cell Epitopes, Unexposed Humans, Long-term C0r0navirus, Robust T Cell, Immunity, Rep. Darren Bailey, remanded, Clay County, BAILEY v. PRITZKER, CITY OF CHICAGO v. MORALE, Right To Travel, Liberty, Due Process, New Zealand, Mandatory Quaяantine Camps, Sweden, Anders Tegnell, Chief Epidemiologist, Blockchain-Based, Secure-Voting, Microsoft, Zero Day, Pentagon, CIA, Expand Offensive, Cyber Operations, Blueleaks, FBI tracks Bitcoin, Rlog

Continue Reading Behind The Woodshed Blogcaster – Aug. 23, 2020.
Posted in Environment Freedom Grim Leftovers Liberty News Podcast Archives Podcasts RLM News Science & Technology

Grim Leftovers Podcast Blog – 2020-05-11 – #Covid19 #EnslavementPlan #BillGates #Chemtrails #Farts

Today’s Show Topics:
° Akamai, Amazon, Netflix, Microsoft, and Google Join Internet Routing Security Effort
° Panopticon Rising: Covid19, And The Elite Enslavement Plan
° Police App Encourages People To Report Neighbors Who Violate Stay At Home Orders
° COVID-19 A Tale of Coincidences
° Ookla 5G Map – Tracking 5G Network Rollouts Around the World
° An AI Can Read Words In Brain Signals – Eavesdropping
° Do You Trust This Man? Bill Gates Says Chemtrails Are Good For Us
° Pandemic Accelerating Robot Takeover, Fueling Unemployment Crisis
° Coronavirus Economy Plans Are Clear: No Return To Normal In 2020
° Doctor Says Coronavirus ‘Could Spread Through Farts’ – But Experts Think It’s ‘Unlikely’

Continue Reading Grim Leftovers Podcast Blog – 2020-05-11 – #Covid19 #EnslavementPlan #BillGates #Chemtrails #Farts
Posted in Behind The Woodshed Uncategorized WhoopAss

Behind The Woodshed Blogcaster – December 8, 2019.


BTWRLM348, Dying Inside, Legal Deception, Sovereign Wealth, Open Gov Crimes, Pretextual Limits, COPPA: Internet Pornification?, Global Biometric Program Rollout, Presumption Rebutted, Assange’s Life, British State, The Queen, Max Blumenthal, False Charges, Turkey, Iran, Gold-For-Gas, Asset Forfeiture, American Liberty, FORCED Internment, Homeless, National Security, CIA, FBI, Oregon Supreme Court, Pretextual Traffic Stops, OREGON v. MARIO ARREOLA-BOTELLO, YouTube, COPPA, 15 U.S. Code, 16 CFR Part 312, CHILDREN’S ONLINE PROTECTION, Mandatory Face Scans, Global National ID System, Microsoft, Palestinians, Age of AI, FDA bowed, Monsatan, Weed Resistance, Roundup, China,  Gene-edited Baby Experiment, Unintended Mutations, Rlog

Continue Reading Behind The Woodshed Blogcaster – December 8, 2019.
Posted in Freedom Freeker's Ball Liberty Music Podcast Archives Podcasts Science & Technology

The Freeker’s Ball Podcast Blog – 2019-09-27 – #Greta #GlobalWarming #Satanist #Joker #Vaccinated #AR15

Some Of The Stuff I Talked About:
° Are You Using Your Ayurveda Copper Water Vessel Correctly?
° Copper Stylish Bottle Joint Free with Ayurvedic benefited 100% Pure & Leak Proof Bottle
° Earliest Snow In Decades In Greta’s Sweden
° Survey: Majority of Young Voters Believe World Could End Within 15 Years
° Ore. woman accused of serving bean dip laced with meth to co-workers
° Federal prosecutors say a ‘Satanist’ soldier was plotting to overthrow the government
° US army warns of possible violence at Joker screenings
° Florida teen attacks grandparents after being denied more tomatoes at dinner
° How Vaccinated Kids Infect The Non-Vaccinated
° Vending Machines Almost As Deadly As AR-15s In Mass Shootings
° How Do You Lose Money Dealing Marijuana? Be a Government Agency.
° Microsoft Warns of a New Rare Fileless Malware Hijacking Windows Computers
° Learn How to Code in Python With Microsoft’s Free Classes

Continue Reading The Freeker’s Ball Podcast Blog – 2019-09-27 – #Greta #GlobalWarming #Satanist #Joker #Vaccinated #AR15
Posted in Freedom Grim Leftovers Liberty News Podcast Archives Podcasts

Grim Leftovers Podcast Blog – 2019-09-02 – #FBI #Terrorist #PrivacyViolations #SexualEncounters #Trump

Today’s Show Topics:
° Parents Catch FBI In Plot To Force Mentally Ill Son To Be A Right Wing Terrorist
° Facebook to Pay $5 Billion Penalty for Privacy Violations
° Internet Explorer and Edge send the full URL of every page you visit to MS, plus your unique account ID
° Siri “Regularly” Listens In On Your Sexual Encounters, Apple Insists “Only For A Few Seconds”
° New bill would ban autoplay videos and endless scrolling
° Trump Calls for Linking New Gun Control Legislation to Immigration Reform
° The VR illusion that makes you think you have a spider’s body
° More than 500 communities opt out of recreational marijuana sales in Michigan
° Health expert renews call for study on nitrates in drinking water
° Florida mosquitoes are carrying a deadly BRAIN-INFECTING virus

Continue Reading Grim Leftovers Podcast Blog – 2019-09-02 – #FBI #Terrorist #PrivacyViolations #SexualEncounters #Trump
Posted in Behind The Woodshed Uncategorized WhoopAss

Behind The Woodshed Blogcaster – August 18, 2019.


BTWRLM332, How Screwed Are You?, Uncle Screwtape, Screwed Drivers, Living Deliverance, SCOTUS Precedent Declared Wrong, C.S. Lewis, Back in ’42, Microsoft, Intel, Nvidia, AMD, Electra Texas, Deliverance, Missouri, St. Louis, Katherine Anne Dierdorf, Ambry Nichole Schuessler, Michael Waller, Thomas A. Carroll, Pennsylvania, Civil Rights Act, Ku Klux Klan Act, Knick v. Township of Scott, Takings Clause, Fifth Amendment, Tucker Act, “Keeper of  the nation’s conscience”, “the People’s Court.”

Continue Reading Behind The Woodshed Blogcaster – August 18, 2019.